**Listing**
'''
Entry a
V2OF5 (PBE+U, relaxed); mass density = 3.62 g/cm3; symmetry = No. 1
1.0
-4.524 0.861 0.495
-1.941 -7.275 -3.805
0.063 -2.336 4.417
V O F
4 2 10
Cartesian
-4.762 -1.638 1.960
-2.921 -2.021 -0.968
-5.699 -6.449 2.254
-3.853 -6.815 -0.686
-4.944 -7.191 0.946
-4.020 -2.386 0.643
-2.393 -6.289 0.540
-1.465 -1.483 0.248
-1.718 -3.679 1.901
-2.718 -6.171 -2.238
-2.094 -3.779 -1.237
-1.067 -1.297 2.905
-4.341 -4.982 2.297
-5.341 -7.451 -1.826
-4.719 -5.022 -0.749
-3.707 -2.549 3.346

Entry b
V2OF5 (PBE+U, relaxed); mass density = 3.29 g/cm3; symmetry = No. 152
1.0
2.537 -3.427 -3.067
11.122 1.527 7.494
-2.616 -1.695 4.228
V O F
6 3 15
Cartesian
5.472 -4.292 4.806
-0.066 -5.018 1.223
9.980 -1.554 5.661
6.625 -1.259 6.736
4.547 -2.422 1.952
0.932 -2.129 2.999
8.298 -1.708 6.267
4.860 -3.154 3.560
0.588 -3.473 1.862
9.777 -2.883 4.239
6.799 -1.850 8.593
5.363 -0.696 2.385
0.165 -0.735 1.859
10.419 -0.138 6.985
6.218 -0.539 4.929
4.331 -1.661 0.123
1.183 -0.661 4.323
11.800 -1.275 4.899
4.819 -0.626 7.291
2.748 -1.706 2.346
6.321 -3.037 1.296
-0.854 -2.349 3.845
10.800 -2.904 6.848
5.758 -2.963 6.241

Entry c
V2OF5 (PBE+U, relaxed); mass density = 3.21 g/cm3; symmetry = No. 1
1.0
0.404 -2.284 -4.794
-3.571 -11.882 5.305
-4.629 2.078 1.566
V O F
6 3 15
Cartesian
-1.917 -5.816 2.676
-4.132 -0.273 -3.107
-4.191 -10.706 1.801
-5.492 -7.294 3.082
-2.486 -4.843 -0.948
-3.537 -1.359 0.265
-7.030 -7.794 3.533
-2.208 -6.602 -1.821
-3.579 -0.941 -1.669
-4.156 -10.247 -0.123
-1.768 -5.605 0.721
-1.814 -0.443 0.508
-4.234 -11.167 3.705
-3.588 -6.817 2.479
-0.663 -4.323 -1.499
-3.611 -1.743 2.236
-3.316 -12.420 1.363
-5.578 -5.503 3.859
-2.647 -3.066 -0.008
-5.083 -9.000 2.147
-4.454 0.354 0.619
-4.287 -5.341 -0.360
-5.965 -11.600 1.493
-6.032 -6.568 1.333

Entry d
V2OF5 (PBE+U, relaxed); mass density = 3.40 g/cm3; symmetry = No. 7
1.0
-0.269 -0.564 -5.025
4.689 -0.468 -0.199
3.059 -17.688 1.820
V O F
8 4 20
Cartesian
4.202 -5.712 -1.982
3.525 -12.741 1.232
1.727 -4.459 -4.686
5.987 -10.286 0.744
1.491 -8.287 -1.751
5.716 -14.589 -1.374
4.198 -1.986 -5.016
3.025 -17.120 -0.743
5.304 -5.538 -0.712
4.787 -11.424 0.450
3.049 -3.016 -4.352
6.675 -14.714 -2.761
0.762 -1.099 -3.400
5.042 -7.333 -2.733
0.951 -2.365 -0.473
0.587 -4.183 -3.049
4.046 -17.363 0.864
4.512 -13.275 -2.197
4.946 -10.199 -2.588
5.215 -8.738 -0.228
4.547 -14.177 0.333
4.328 -15.933 -1.690
2.339 -8.892 -3.363
3.077 -4.234 -1.347
2.390 -9.737 -0.656
3.514 -1.153 -1.694
2.855 -5.673 -3.605
2.872 -6.936 -1.233
6.649 -16.015 -0.376
2.284 -11.621 -3.234
2.215 -12.821 -0.296
6.573 -17.940 -2.514

Q: What are the energies relative to the best structure? A: entry a 0.041; entry b 0.016; entry c 0.000; entry d 0.053, in eV/atom.

Entry a
V2OF5 (PBE+U, relaxed); mass density = 3.62 g/cm3; symmetry = No. 1
1.0
-2.489 1.758 -3.498
-3.109 -7.687 -1.762
-7.220 -2.552 3.790
V O F
6 3 15
Cartesian
-4.512 -5.946 0.096
-1.073 -2.523 -0.572
-3.612 -0.123 -0.465
-7.035 -3.548 0.195
-10.432 -7.627 -2.678
-10.502 -6.782 0.713
-2.867 -1.628 -0.448
-6.296 -5.059 0.228
-10.041 -6.763 -0.904
-3.088 0.134 -2.394
-5.103 -6.919 -1.529
-7.362 -5.867 -2.426
-3.996 -2.379 -3.018
-5.435 -0.526 -1.095
-7.391 -7.876 -0.360
-7.745 -3.597 2.047
-8.855 -3.980 -0.391
-3.916 -4.539 -1.152
-5.087 -4.860 -3.478
-6.529 -3.273 -1.722
-5.441 -2.613 0.864
-8.868 -6.100 1.622
-7.691 -1.604 0.018
-9.738 -8.632 0.932

Entry b
V2OF5 (PBE+U, relaxed); mass density = 3.44 g/cm3; symmetry = No. 1
1.0
2.588 1.257 -4.245
-2.590 4.681 -0.044
2.619 -1.275 4.221
V O F
2 1 5
Cartesian
0.060 5.064 -1.555
0.058 1.938 0.700
2.966 1.787 -2.529
-0.471 3.501 -0.430
1.016 1.255 -0.834
1.606 2.958 1.244
1.597 4.027 -2.107
3.619 1.054 0.025

Q: What are the energies relative to the best structure? A: entry a 0.012; entry b 0.000, in eV/atom.

Entry a
V2OF5 (PBE+U, relaxed); mass density = 3.27 g/cm3; symmetry = No. 1
1.0
5.265 0.000 0.000
-2.625 4.758 0.000
-0.167 -0.397 12.945
V O F
6 3 15
Cartesian
2.564 1.453 4.279
2.522 1.388 10.858
'''

**Request**
Print all of the block above unchanged, please.

**Solution**
Entry a
V2OF5 (PBE+U, relaxed); mass density = 3.62 g/cm3; symmetry = No. 1
1.0
-4.524 0.861 0.495
-1.941 -7.275 -3.805
0.063 -2.336 4.417
V O F
4 2 10
Cartesian
-4.762 -1.638 1.960
-2.921 -2.021 -0.968
-5.699 -6.449 2.254
-3.853 -6.815 -0.686
-4.944 -7.191 0.946
-4.020 -2.386 0.643
-2.393 -6.289 0.540
-1.465 -1.483 0.248
-1.718 -3.679 1.901
-2.718 -6.171 -2.238
-2.094 -3.779 -1.237
-1.067 -1.297 2.905
-4.341 -4.982 2.297
-5.341 -7.451 -1.826
-4.719 -5.022 -0.749
-3.707 -2.549 3.346

Entry b
V2OF5 (PBE+U, relaxed); mass density = 3.29 g/cm3; symmetry = No. 152
1.0
2.537 -3.427 -3.067
11.122 1.527 7.494
-2.616 -1.695 4.228
V O F
6 3 15
Cartesian
5.472 -4.292 4.806
-0.066 -5.018 1.223
9.980 -1.554 5.661
6.625 -1.259 6.736
4.547 -2.422 1.952
0.932 -2.129 2.999
8.298 -1.708 6.267
4.860 -3.154 3.560
0.588 -3.473 1.862
9.777 -2.883 4.239
6.799 -1.850 8.593
5.363 -0.696 2.385
0.165 -0.735 1.859
10.419 -0.138 6.985
6.218 -0.539 4.929
4.331 -1.661 0.123
1.183 -0.661 4.323
11.800 -1.275 4.899
4.819 -0.626 7.291
2.748 -1.706 2.346
6.321 -3.037 1.296
-0.854 -2.349 3.845
10.800 -2.904 6.848
5.758 -2.963 6.241

Entry c
V2OF5 (PBE+U, relaxed); mass density = 3.21 g/cm3; symmetry = No. 1
1.0
0.404 -2.284 -4.794
-3.571 -11.882 5.305
-4.629 2.078 1.566
V O F
6 3 15
Cartesian
-1.917 -5.816 2.676
-4.132 -0.273 -3.107
-4.191 -10.706 1.801
-5.492 -7.294 3.082
-2.486 -4.843 -0.948
-3.537 -1.359 0.265
-7.030 -7.794 3.533
-2.208 -6.602 -1.821
-3.579 -0.941 -1.669
-4.156 -10.247 -0.123
-1.768 -5.605 0.721
-1.814 -0.443 0.508
-4.234 -11.167 3.705
-3.588 -6.817 2.479
-0.663 -4.323 -1.499
-3.611 -1.743 2.236
-3.316 -12.420 1.363
-5.578 -5.503 3.859
-2.647 -3.066 -0.008
-5.083 -9.000 2.147
-4.454 0.354 0.619
-4.287 -5.341 -0.360
-5.965 -11.600 1.493
-6.032 -6.568 1.333

Entry d
V2OF5 (PBE+U, relaxed); mass density = 3.40 g/cm3; symmetry = No. 7
1.0
-0.269 -0.564 -5.025
4.689 -0.468 -0.199
3.059 -17.688 1.820
V O F
8 4 20
Cartesian
4.202 -5.712 -1.982
3.525 -12.741 1.232
1.727 -4.459 -4.686
5.987 -10.286 0.744
1.491 -8.287 -1.751
5.716 -14.589 -1.374
4.198 -1.986 -5.016
3.025 -17.120 -0.743
5.304 -5.538 -0.712
4.787 -11.424 0.450
3.049 -3.016 -4.352
6.675 -14.714 -2.761
0.762 -1.099 -3.400
5.042 -7.333 -2.733
0.951 -2.365 -0.473
0.587 -4.183 -3.049
4.046 -17.363 0.864
4.512 -13.275 -2.197
4.946 -10.199 -2.588
5.215 -8.738 -0.228
4.547 -14.177 0.333
4.328 -15.933 -1.690
2.339 -8.892 -3.363
3.077 -4.234 -1.347
2.390 -9.737 -0.656
3.514 -1.153 -1.694
2.855 -5.673 -3.605
2.872 -6.936 -1.233
6.649 -16.015 -0.376
2.284 -11.621 -3.234
2.215 -12.821 -0.296
6.573 -17.940 -2.514

Q: What are the energies relative to the best structure? A: entry a 0.041; entry b 0.016; entry c 0.000; entry d 0.053, in eV/atom.

Entry a
V2OF5 (PBE+U, relaxed); mass density = 3.62 g/cm3; symmetry = No. 1
1.0
-2.489 1.758 -3.498
-3.109 -7.687 -1.762
-7.220 -2.552 3.790
V O F
6 3 15
Cartesian
-4.512 -5.946 0.096
-1.073 -2.523 -0.572
-3.612 -0.123 -0.465
-7.035 -3.548 0.195
-10.432 -7.627 -2.678
-10.502 -6.782 0.713
-2.867 -1.628 -0.448
-6.296 -5.059 0.228
-10.041 -6.763 -0.904
-3.088 0.134 -2.394
-5.103 -6.919 -1.529
-7.362 -5.867 -2.426
-3.996 -2.379 -3.018
-5.435 -0.526 -1.095
-7.391 -7.876 -0.360
-7.745 -3.597 2.047
-8.855 -3.980 -0.391
-3.916 -4.539 -1.152
-5.087 -4.860 -3.478
-6.529 -3.273 -1.722
-5.441 -2.613 0.864
-8.868 -6.100 1.622
-7.691 -1.604 0.018
-9.738 -8.632 0.932

Entry b
V2OF5 (PBE+U, relaxed); mass density = 3.44 g/cm3; symmetry = No. 1
1.0
2.588 1.257 -4.245
-2.590 4.681 -0.044
2.619 -1.275 4.221
V O F
2 1 5
Cartesian
0.060 5.064 -1.555
0.058 1.938 0.700
2.966 1.787 -2.529
-0.471 3.501 -0.430
1.016 1.255 -0.834
1.606 2.958 1.244
1.597 4.027 -2.107
3.619 1.054 0.025

Q: What are the energies relative to the best structure? A: entry a 0.012; entry b 0.000, in eV/atom.

Entry a
V2OF5 (PBE+U, relaxed); mass density = 3.27 g/cm3; symmetry = No. 1
1.0
5.265 0.000 0.000
-2.625 4.758 0.000
-0.167 -0.397 12.945
V O F
6 3 15
Cartesian
2.564 1.453 4.279
2.522 1.388 10.858